Hydration! Inside vs. Outside

ZWIFT COMMUNITY | on 29 April 2015 by Andrew Burke
Hydration! Inside vs. Outside


Bonking is never fun! When you go outside, you pack a number of water bottles with the right amount of electrolytes. But when you stay inside, it’s easy to forget that hydration is just as important. We asked Annie Simpson, Performance Nutritionist, over at OTE Sports (Official Nutrition Partner for Team Lotto Jumbo)  why hydration is key and how it differs when riding inside.

Have you noticed that you get more hot and sweaty indoors then you would when training outside? When exercising, the body’s heat production is 15-20 times greater than it is at rest. This can be elevated even further by indoor training conditions which – let’s face it – are often hot, humid, and very sweaty. When you’re indoors, there’s little air movement, so heat builds up around the body and sweat can’t evaporate as quickly, making you more susceptible to dehydration.

Understanding the Effects of Dehydration

Basically, dehydration negatively affects performance. Even as little as 2% loss of body weight due to dehydration has been shown to impair performance.

As our body’s core temperature rises, the majority of that heat dissipates through sweat. And as our exercise intensity increases, so do sweat rates.

image2When we sweat, we lose fluid and electrolytes. The primary electrolytes present in sweat during exercise are sodium and chloride, with smaller amounts of magnesium, potassium, and calcium. When this electrolyte equilibrium is not maintained during exercise, often through erroneous feeding strategies, performance drops further.

Preventing Dehydration

Before exercise: It’s always a good idea to try to start every session fully hydrated. It can take around 8-12 hours of normal food and drink consumption to fully hydrate after exercising, so take this into account if you’re training twice a day. If you don’t have this long in-between sessions, your fluid intake may need to be elevated.

[Between two parts of the article: materials data]
┌──
Density functional theory data (PBE) for a relaxed structure of Ru3PtS.

For the formation energy without anion corrections, the calculation gives 0.576 eV per atom. Its energy above the most stable polymorph in this dataset is 0.0000 eV/atom. The density is 11.09 g cm⁻³. The final energy comes out at -7.02 eV per atom. The size of the total moment is 0.00 μB per formula unit.

The space group is Pm-3m (No. 221) and the conventional cell measures 4.298, 4.298 and 4.298 Å, with angles of 90.00, 90.00 and 90.00 degrees. The distinct sites, in fractional coordinates, are Ru at (0.000, 0.000, 0.500), Pt at (0.500, 0.500, 0.500) and S at (0.000, 0.000, 0.000).

----------

1.
Crystalline MnCdTe2 at its relaxed geometry, computed with PBE.

Summary:
Total moment ... 4.858 μB/f.u.
Uncorrected energy ... -31.81 eV/cell
Crystal system ... tetragonal
Energy relative to the elements, uncorrected ... 116 meV per atom
Mass density ... 5.46 g/cm3

Unit cell a=4.0262 b=4.0262 c=15.8584 alpha=90.00 beta=90.00 gamma=90.00
Last column: nearest neighbours and their distance in Å.
Space group I-4m2 (No. 119)
One atom of each set of equivalent atoms:
1 Mn 0.0000 0.0000 0.0000 [2 per cell]  4 Te 2.85
2 Cd 0.0000 0.5000 0.2500 [2 per cell]  4 Te 2.85
3 Te 0.0000 0.0000 0.5000 [2 per cell]  4 Mn 2.85
4 Te 0.0000 0.5000 0.7500 [2 per cell]  4 Cd 2.85

2.
Crystalline Th2Pd6Pb at its relaxed geometry, computed with PBE.

Summary:
Total moment ... 0.000 μB/f.u.
Uncorrected energy ... -109.43 eV/cell
Crystal system ... orthorhombic
Mass density ... 11.23 g/cm3
Formation energy from the elements ... -556 meV per atom

Unit cell a=7.5557 b=14.0682 c=3.6453 alpha=90.00 beta=90.00 gamma=90.00
Last column: nearest neighbours and their distance in Å.
Space group Cmmm (No. 65)
One atom of each set of equivalent atoms:
1 Th 0.0000 0.1865 0.0000 [4 per cell]  10 Pd 2.94-3.21
2 Pd 0.1923 0.0000 0.0000 [4 per cell]  5 Pd 2.91-3.00, 2 Pb 2.95, 2 Th 3.00
3 Pd 0.1995 0.3408 0.5000 [8 per cell]  1 Pd 2.67, 1 Pb 2.70, 2 Th 2.94
4 Pb 0.0000 0.5000 0.5000 [2 per cell]  8 Pd 2.70-2.95

----------

Computed, not measured: a crystal of RbCrGePt2 relaxed with PBEsol at the SCAN level of DFT.

Geometry as extended XYZ:
```
5
Lattice="4.777 0.000 0.000 0.000 4.777 0.000 0.000 0.000 4.871" Properties=species:S:1:pos:R:3 pbc="T T T"
Rb 0.000 0.000 0.000
Cr 2.389 2.389 0.000
Ge 2.389 2.389 2.435
Pt 0.000 2.389 2.435
Pt 2.389 0.000 2.435
```

D(E_F): 3.70 states/eV/cell
ΔH_f (0 K): 0.23 eV/atom

----------

Run a
MgBeCr2: relaxed, GGA-PBE.

Lattice parameters (Å, degrees): 4.3370 4.3370 4.3370 60.00 60.00 60.00
Last column: magnetic moment on the atom in μB.
Positions (direct):
Cr: 0.2500 0.2500 0.2500  3.18
Cr: 0.7500 0.7500 0.7500  3.18
Mg: 0.5000 0.5000 0.5000  -0.01
Be: 0.0000 0.0000 0.0000  -0.13

Properties
Fermi-level density of states, states/eV/f.u.: 3.4
Space group: Fm-3m (225)

Run b
MgBeCr2: relaxed, GGA-PBE.

Lattice parameters (Å, degrees): 4.1319 3.4471 3.4471 90.00 90.00 90.00
└──
[So much for the materials data]

The best method for hydrating is to slowly sip an electrolyte beverage. Check your urine color to measure your hydration status; aim for a light, straw color.


During exercise: Due to the variations in individual sweat rates (which can range from 0.4L to 1.8L per hour) and different indoor training conditions, it’s impossible to recommend an exact amount of fluid that should be consumed during a session. Your best course of action is to develop your own hydration strategy specific to your sweat rates.

A one-hour indoor training session can give you a good idea of your sweat rate:

  • Weigh yourself naked immediately before exercise.
  • Train for one hour, and monitor your fluid intake.
  • Weigh yourself naked immediately after exercise.

The calculated change in body weight will give you an indication of fluid loss.


For example:

  • Ambient temperature: 25°C
  • Pre-exercise weight: 70Kg
  • Post exercise weight: 69.5Kg
  • Fluid volume consumed during exercise: 500ml
  • Sweat rate: 1L/hour (70Kg-69.5Kg = 500g + 500ml = 1)

Under these conditions, you can plan a hydration strategy based on drinking 1L/hour.

Thirst can also be a good way to dictate when to drink. As a rule of thumb, it’s always good practice staying just ahead of feeling thirsty. Consuming electrolyte drinks, such as OTE Hydro Tabs, will aid the absorption of fluid, promote the feeling of thirst, and further drinking. This is more beneficial than consuming just plain water.


Remember, any weight lost directly after exercise is (sadly) not miracle weight loss, but water loss. The text book approach is to replenish this with 1.5 times the amount lost (1kg lost= 1 L lost) as soon as possible. Sipping little and often is better for retaining water and avoiding the need to run to the toilet at every opportunity.

Next time you are ready to tackle that indoor session, make sure you consider you hydration before, during, and after to get the best out of your Zwift workout.

OTE Sports Nutrition

This article has been edited and condensed.